-- Job --
What is needed: echo the data below from the line with "-3.94" to the end unchanged.

-- Input --
********
Entry from Alexandria: an optimized crystal structure of Be3CrMo (PBEsol).

Results
Density in g/cm³: 4.0
Crystal system: cubic
Energy of formation from the pure elements in eV per atom: 1.444
Density of states at the Fermi level in states/eV per cell: 2.66
Space-group type: Pm-3m (221)
Final energy in eV per cell: -26.79

Cell: 4.1632 4.1632 4.1632 Å, 90.00 90.00 90.00°
Site moments in Bohr magnetons follow the coordinates.
Sites, in units of the cell vectors:
Be  0.0000  0.5000  0.0000  -0.04
Be  0.0000  0.0000  0.5000  -0.04
Cr  0.5000  0.5000  0.5000  3.41
Mo  0.0000  0.0000  0.0000  -0.40
Be  0.5000  0.0000  0.0000  -0.04

----------

1.
# LaCdCl | the Alexandria database | PBE-GGA | relaxed
# Formation energy (no corrections) (eV per atom): -0.8640
# Spin magnetization (μB/f.u.): 0.1
# E_tot (eV/atom): -3.43
data_LaCdCl
_chemical_formula_sum 'La1 Cd1 Cl1'
_cell_length_a 4.9702
_cell_length_b 4.9702
_cell_length_c 4.1420
_cell_angle_alpha 90.00
_cell_angle_beta 90.00
_cell_angle_gamma 120.00
_symmetry_space_group_name_H-M 'P -6 m 2'
_symmetry_Int_Tables_number 187
_symmetry_space_group_name_Hall 'P -6 2'
loop_
_atom_site_label
_atom_site_fract_x
_atom_site_fract_y
_atom_site_fract_z
_atom_site_occupancy
La1 0.0000 0.0000 0.0000 1
Cd1 0.3333 0.6667 0.5000 1
Cl1 0.6667 0.3333 0.0000 1

=====

2.
# La2Be2Tl | the Alexandria database | PBE-GGA | relaxed
# Spin magnetization (μB/f.u.): 0.0
# Formation energy (eV per atom): -0.01
# E_tot (eV/atom): -3.94
data_La2Be2Tl
_chemical_formula_sum 'La4 Be4 Tl2'
_cell_length_a 6.9972
_cell_length_b 6.9972
_cell_length_c 4.6875
_cell_angle_alpha 90.00
_cell_angle_beta 90.00
_cell_angle_gamma 90.00
_symmetry_space_group_name_H-M 'P 4/m b m'
_symmetry_Int_Tables_number 127
_symmetry_space_group_name_Hall '-P 4 2ab'
loop_
_atom_site_label
_atom_site_fract_x
_atom_site_fract_y
_atom_site_fract_z
_atom_site_occupancy
La1 0.1731 0.3269 0.0000 1
Be1 0.1142 0.6142 0.5000 1
Tl1 0.0000 0.0000 0.5000 1

=====

3.
# PmTh2Sn | the Alexandria database | PBE-GGA | relaxed
# Spin magnetization (μB/f.u.): 0.0
# Formation energy (eV per atom): -0.23
# E_tot (eV/atom): -6.13
data_PmTh2Sn
_chemical_formula_sum 'Pm1 Th2 Sn1'
_cell_length_a 4.2210
_cell_length_b 4.2210
_cell_length_c 6.9972
_cell_angle_alpha 90.00
_cell_angle_beta 90.00
_cell_angle_gamma 90.00
_symmetry_space_group_name_H-M 'P 4/m m m'
_symmetry_Int_Tables_number 123
_symmetry_space_group_name_Hall '-P 4 2'
loop_
_atom_site_label
_atom_site_fract_x
_atom_site_fract_y
_atom_site_fract_z
_atom_site_occupancy
Pm1 0.0000 0.0000 0.0000 1
Th1 0.5000 0.5000 0.2781 1
Sn1 0.0000 0.0000 0.5000 1

=====

4.
# RbCuPtCl6 | the Alexandria database | PBE-GGA | relaxed
# Formation energy (no corrections) (eV per atom): -0.7863
# Spin magnetization (μB/f.u.): 0.1
# E_tot (eV/atom): -3.25
data_RbCuPtCl6
_chemical_formula_sum 'Rb1 Cu1 Pt1 Cl6'
_cell_length_a 6.5122
_cell_length_b 6.5122
_cell_length_c 7.2413
_cell_angle_alpha 90.00
_cell_angle_beta 90.00
_cell_angle_gamma 120.00
_symmetry_space_group_name_H-M 'P 3 1 2'
_symmetry_Int_Tables_number 149
loop_
_symmetry_equiv_pos_as_xyz
'x,y,z'
'-y,x-y,z'
'-x+y,-x,z'
'-y,-x,-z'
'-x+y,y,-z'
'x,x-y,-z'
loop_
_atom_site_label
_atom_site_fract_x
_atom_site_fract_y
_atom_site_fract_z
_atom_site_occupancy
Rb1 0.0000 0.0000 0.0000 1
Cu1 0.3333 0.6667 0.5000 1
Pt1 0.6667 0.3333 0.5000 1
Cl1 0.3809 0.0196 0.6834 1

=====

5.
# Be2Ru | the Alexandria database | PBE-GGA | relaxed
# Spin magnetization (μB/f.u.): 0.0
# Formation energy (eV per atom): 0.40
# E_tot (eV/atom): -5.18
data_Be2Ru
_chemical_formula_sum 'Be8 Ru4'
_cell_length_a 5.2448
_cell_length_b 5.2448
_cell_length_c 5.2448
_cell_angle_alpha 90.00
_cell_angle_beta 90.00
_cell_angle_gamma 90.00
_symmetry_space_group_name_H-M 'F m -3 m'
_symmetry_Int_Tables_number 225
_symmetry_space_group_name_Hall '-F 4 2 3'
loop_
_atom_site_label
_atom_site_fract_x
_atom_site_fract_y
_atom_site_fract_z
_atom_site_occupancy
Be1 0.2500 0.2500 0.2500 1
Ru1 0.0000 0.0000 0.0000 1
********

-- Completed --
# E_tot (eV/atom): -3.94
data_La2Be2Tl
_chemical_formula_sum 'La4 Be4 Tl2'
_cell_length_a 6.9972
_cell_length_b 6.9972
_cell_length_c 4.6875
_cell_angle_alpha 90.00
_cell_angle_beta 90.00
_cell_angle_gamma 90.00
_symmetry_space_group_name_H-M 'P 4/m b m'
_symmetry_Int_Tables_number 127
_symmetry_space_group_name_Hall '-P 4 2ab'
loop_
_atom_site_label
_atom_site_fract_x
_atom_site_fract_y
_atom_site_fract_z
_atom_site_occupancy
La1 0.1731 0.3269 0.0000 1
Be1 0.1142 0.6142 0.5000 1
Tl1 0.0000 0.0000 0.5000 1

=====

3.
# PmTh2Sn | the Alexandria database | PBE-GGA | relaxed
# Spin magnetization (μB/f.u.): 0.0
# Formation energy (eV per atom): -0.23
# E_tot (eV/atom): -6.13
data_PmTh2Sn
_chemical_formula_sum 'Pm1 Th2 Sn1'
_cell_length_a 4.2210
_cell_length_b 4.2210
_cell_length_c 6.9972
_cell_angle_alpha 90.00
_cell_angle_beta 90.00
_cell_angle_gamma 90.00
_symmetry_space_group_name_H-M 'P 4/m m m'
_symmetry_Int_Tables_number 123
_symmetry_space_group_name_Hall '-P 4 2'
loop_
_atom_site_label
_atom_site_fract_x
_atom_site_fract_y
_atom_site_fract_z
_atom_site_occupancy
Pm1 0.0000 0.0000 0.0000 1
Th1 0.5000 0.5000 0.2781 1
Sn1 0.0000 0.0000 0.5000 1

=====

4.
# RbCuPtCl6 | the Alexandria database | PBE-GGA | relaxed
# Formation energy (no corrections) (eV per atom): -0.7863
# Spin magnetization (μB/f.u.): 0.1
# E_tot (eV/atom): -3.25
data_RbCuPtCl6
_chemical_formula_sum 'Rb1 Cu1 Pt1 Cl6'
_cell_length_a 6.5122
_cell_length_b 6.5122
_cell_length_c 7.2413
_cell_angle_alpha 90.00
_cell_angle_beta 90.00
_cell_angle_gamma 120.00
_symmetry_space_group_name_H-M 'P 3 1 2'
_symmetry_Int_Tables_number 149
loop_
_symmetry_equiv_pos_as_xyz
'x,y,z'
'-y,x-y,z'
'-x+y,-x,z'
'-y,-x,-z'
'-x+y,y,-z'
'x,x-y,-z'
loop_
_atom_site_label
_atom_site_fract_x
_atom_site_fract_y
_atom_site_fract_z
_atom_site_occupancy
Rb1 0.0000 0.0000 0.0000 1
Cu1 0.3333 0.6667 0.5000 1
Pt1 0.6667 0.3333 0.5000 1
Cl1 0.3809 0.0196 0.6834 1

=====

5.
# Be2Ru | the Alexandria database | PBE-GGA | relaxed
# Spin magnetization (μB/f.u.): 0.0
# Formation energy (eV per atom): 0.40
# E_tot (eV/atom): -5.18
data_Be2Ru
_chemical_formula_sum 'Be8 Ru4'
_cell_length_a 5.2448
_cell_length_b 5.2448
_cell_length_c 5.2448
_cell_angle_alpha 90.00
_cell_angle_beta 90.00
_cell_angle_gamma 90.00
_symmetry_space_group_name_H-M 'F m -3 m'
_symmetry_Int_Tables_number 225
_symmetry_space_group_name_Hall '-F 4 2 3'
loop_
_atom_site_label
_atom_site_fract_x
_atom_site_fract_y
_atom_site_fract_z
_atom_site_occupancy
Be1 0.2500 0.2500 0.2500 1
Ru1 0.0000 0.0000 0.0000 1